The “Preventing Essential Medical Device Shortages Act of 2020”: COVID-19 Side Effect that Could Permanently Harm Medical Device Manufacturers

The ongoing COVID-19 pandemic crisis—infecting more than 2.7 million people worldwide, with almost 870,000 cases in the United States alone as of the writing of this article—has thrown nearly every industry into chaos as the world struggles to adjust to the new reality of social distancing and self-quarantining. Shortages of personal protective equipment ("PPE") such as N95 masks, surgical masks, gloves, and gowns have become commonplace, as medical professionals struggle to ensure they have the equipment they need for the daily treatment of patients, and ordinary citizens scramble to obtain the protective equipment they feel is necessary to keep them protected. Heartbreaking stories abound of ventilator shortages forcing hospitals and governments to contemplate incredibly difficult decisions, such as choosing to withhold treatment from the elderly in favor of younger, stronger patients with a better chance of survival.
Faced with an infected population and a shortage of medical equipment, PPE, and other life-saving devices, some state governors even have invoked their emergency powers to authorize their police forces to confiscate medical resources from private citizens and businesses. Such drastic measures, once considered unthinkable outside of the wartime realm, are now necessary so hospitals can be re-supplied and re-equipped as COVID-19 patients continue to flow in. Amidst these unprecedented circumstances, many in the media and elsewhere have expressed their frustration and bewilderment as to how the United States could have been caught so unprepared and lacking in vital medical resources, devices, and equipment.
The FDA’s Frustration with Lack of Regulation of Medical Device Manufacturers
One of these frustrated parties is the Food and Drug Administration ("FDA"), which has indicated in multiple statements and budget proposals that it will seek to drastically increase its regulation of medical device manufacturers in the wake of the COVID-19 pandemic. In early 2020, the FDA began notifying the United States Congress of a lack of regulation on medical device manufacturers it considered crucial in the United States’ COVID-19 response. In doing so, the FDA used the opportunity to highlight differences between regulations imposed on medical drug manufacturers and regulations imposed on medical device manufacturers—differences it wants to change.
According to an FDA statement submitted by Stephen M. Hahn, M.D., Commissioner of Food and Drugs for the FDA, at the outset of the virus, the FDA acted proactively to monitor the medical drug and device supply chain between the United States and China, recognizing correctly the COVID-19 pandemic likely would affect the availability of critical medical resources, and may lead to potential disruptions in their supply. In furtherance of these efforts, beginning on January 24, 2020, the FDA contacted more than 180 pharmaceutical drug manufacturers, reminded them of their legal obligations to “notify[] the FDA of any anticipated supply disruptions,” and asked them to “evaluate their entire supply chain” with China. These efforts were successful, as the FDA was able to promptly identify a coronavirus-caused drug shortage after the manufacturer reported the shortage as required.
In contrast, manufacturers of medical devices—which include N95 masks and ventilators, devices that are critically important in preventing transmission of the COVID-19 virus and in treating serious cases—are not legally required to report any anticipated shortages, actual shortages, or supply chain issues to the FDA. Thus, although the FDA was aware early of “63 manufacturers which represent 72 facilities in China that produce essential medical devices,” including several facilities “adversely affected by COVID-19,” it could only request that these manufacturers report shortage issues to the FDA, without being able to enforce this request. As Dr. Hahn explained, [N]o law exists requiring medical device manufacturers to notify the FDA when they become aware of a circumstance, including discontinuation of a product, that could lead to a potential shortage, and manufacturers are not required to respond when the FDA requests information about potential supply chain disruption.
As noted in its March 28, 2020 Update, the FDA is taking measures to adapt and to encourage medical device manufacturers to report anticipated shortages promptly, but remains legally limited to requesting that manufacturers participate in reporting voluntarily.
The FDA’s Proposed Regulations of Medical Device Manufacturers
In large part due to this situation, the FDA has taken affirmative steps to increase its regulatory authority over the entire medical device industry, using the COVID-19 pandemic as justification. As detailed in the FDA’s FY 2020 Budget Request, the agency is pursuing a detailed legislative proposal that would have long-lasting effects on medical device manufacturers nationwide. Noting that “[n]o law requires medical device manufacturers to notify the FDA when they become aware of a circumstance that could lead to a device shortage,” the FDA has requested that Congress authorize it to:
- Require firms to notify the FDA of an anticipated significant interruption in the supply of an essential device;
- Require all manufacturers of devices determined to be essential to periodically provide the FDA with information about the manufacturing capacity of the essential device(s) they manufacture; and
- Authorize the temporary importation of devices whose risks presented when patients and healthcare providers lack access to critically important medical devices outweigh compliance with U.S. regulatory standards.
Additionally, the FDA requested that Congress “clarify FDA’s authority to require information that would improve FDA’s ability to assess critical infrastructure as well as manufacturing quality and capacity.” As Dr. Hahn noted, this proposal would “empower” the FDA to require detailed manufacturing and supply information from medical drug and device manufacturers to the extent necessary to improve the FDA’s “ability to recognize shortage signals.”
Congressional Response to the FDA’s Proposed Regulations
On March 12, 2020, within two weeks of Dr. Hahn’s statement, U.S. Senators Bob Casey (D-Pa.) and Kelly Loeffler (R-Ga.) introduced Senate Bill 3468, titled as the Preventing Essential Medical Device Shortages Act of 2020 (“Medical Device Act”). The Medical Device Act directly addresses the FDA’s concerns, and, among other things, would take the following actions:
- Require the Secretary of the Department of Health and Human Services (“HHS”) to issue public regulations defining the term “essential device”;
Misplaced calculated crystals:
<<<
Below is a relaxed structure of Ta2Tl4Se11, with properties calculated at the r²SCAN level.

Lattice parameters (Å, degrees): 8.1522 9.2956 13.9705 72.59 89.33 85.77
Positions (direct):
Ta (0.1240, 0.3669, 0.3034)
Ta (0.3367, 0.1095, 0.1891)
Ta (0.6633, 0.8905, 0.8109)
Ta (0.8760, 0.6331, 0.6966)
Tl (0.0534, 0.7610, 0.9822)
Tl (0.2118, 0.9759, 0.5745)
Tl (0.2371, 0.4140, 0.5824)
Tl (0.4949, 0.7253, 0.1103)
Tl (0.5051, 0.2747, 0.8897)
Tl (0.7629, 0.5860, 0.4176)
Tl (0.7882, 0.0241, 0.4255)
Tl (0.9466, 0.2390, 0.0178)
Se (0.0167, 0.7097, 0.5354)
Se (0.0322, 0.1326, 0.2497)
Se (0.0544, 0.6562, 0.2489)
Se (0.1162, 0.4918, 0.8149)
Se (0.2630, 0.4026, 0.1108)
Se (0.2705, 0.0390, 0.0409)
Se (0.3487, 0.8583, 0.3329)
Se (0.3893, 0.1796, 0.3718)
Se (0.3993, 0.4420, 0.3521)
Se (0.4022, 0.0760, 0.7527)
Se (0.4574, 0.6900, 0.8812)
Se (0.5426, 0.3100, 0.1188)
Se (0.5978, 0.9240, 0.2473)
Se (0.6007, 0.5580, 0.6479)
Se (0.6107, 0.8204, 0.6282)
Se (0.6513, 0.1417, 0.6671)
Se (0.7295, 0.9610, 0.9591)
Se (0.7370, 0.5974, 0.8892)
Se (0.8838, 0.5082, 0.1851)
Se (0.9456, 0.3438, 0.7511)
Se (0.9678, 0.8674, 0.7503)
Se (0.9833, 0.2903, 0.4646)

Properties
- ΔH_f (0 K): -580 meV/atom
- Space group: No. 2



Below is a relaxed structure of Ta3VSe6, with properties calculated at the r²SCAN level.

Lattice parameters (Å, degrees): 6.0213 6.0213 12.8708 90.00 90.00 120.00
Positions (direct):
Ta (0.0000, 0.0000, 0.0000)
Ta (0.0000, 0.0000, 0.5000)
Ta (0.3333, 0.6667, 0.0003)
Ta (0.3333, 0.6667, 0.4997)
Ta (0.6667, 0.3333, 0.9997)
Ta (0.6667, 0.3333, 0.5003)
V (0.3333, 0.6667, 0.2500)
V (0.6667, 0.3333, 0.7500)
Se (0.0035, 0.3329, 0.8711)
Se (0.0035, 0.6705, 0.6289)
Se (0.3295, 0.3329, 0.6289)
Se (0.3295, 0.9965, 0.8711)
Se (0.3329, 0.0035, 0.1289)
Se (0.3329, 0.3295, 0.3711)
Se (0.6671, 0.6705, 0.8711)
Se (0.6671, 0.9965, 0.6289)
Se (0.6705, 0.0035, 0.3711)
Se (0.6705, 0.6671, 0.1289)
Se (0.9965, 0.3295, 0.1289)
Se (0.9965, 0.6671, 0.3711)

Properties
- ΔH_f (0 K): -996 meV/atom
- Space group: No. 182



Below is a relaxed structure of TbSe2, with properties calculated at the r²SCAN level.

Lattice parameters (Å, degrees): 4.0726 4.0726 8.3227 90.00 90.00 90.00
Positions (direct):
Tb (0.2500, 0.2500, 0.2269)
Tb (0.7500, 0.7500, 0.7731)
Se (0.2500, 0.2500, 0.8692)
Se (0.2500, 0.7500, 0.5000)
Se (0.7500, 0.2500, 0.5000)
Se (0.7500, 0.7500, 0.1308)

Properties
- ΔH_f (0 K): -1812 meV/atom
- Space group: No. 129



no.,total energy (eV/atom)
1,-28.070
2,-25.569
>>>
- Add essential devices to the drug shortage list in the Federal Food, Drug and Cosmetic Act;
- Require essential device manufacturers to notify the Secretary about anticipated permanent discontinuance or interruption in an essential device manufacturing supply chain;
- Make information publicly available about disruptions in order to inform physicians, health providers and patient organizations about anticipated shortages;
- Allow the Secretary to exempt certain device shortages from public disclosure if it may lead to hoarding, price spikes and other issues that could adversely affect public health;
- Allow the Secretary to expedite the review of medical device applications to help mitigate anticipated shortages;
- Authorize the Secretary to expedite the inspection or re-inspection of establishments that could help mitigate or prevent shortages; and
- Require a Government Accountability Office report to examine the intra-agency coordination process that assesses risks associated with the essential device supply chain and identify ways to mitigate these risks.
The Medical Device Act has since been referred to the Committee on Health, Education, Labor, and Pensions, where it remains pending.
Potential Effects on Medical Device Manufacturers
### Misplaced materials data
No. 1
DFT (PBE) results for crystalline BaSrAl20Cu2O34 at its relaxed geometry.

Computed properties:
E_form (eV per atom): -3.261
Space group: P3m1 (156)
Total moment (μB per formula unit): 2.00

Cell: 5.6708 5.6708 22.8230 Å, 90.00 90.00 120.00°
Closest atoms and distances in Å follow each position.
Positions (direct):
Ba: 0.0000 0.0000 0.0000  6 O 2.79-2.83
Sr: 0.6667 0.3333 0.4992  6 O 2.72-2.80
Al: 0.0000 0.0000 0.4244  4 O 1.72-1.79
Al: 0.0000 0.0000 0.5748  4 O 1.71-1.78
Al: 0.0000 0.0000 0.7289  4 O 1.82-1.83
Al: 0.0048 0.5024 0.3592  6 O 1.87-2.01
Al: 0.1650 0.3300 0.1461  6 O 1.84-2.05
Al: 0.1650 0.8350 0.1461  6 O 1.84-2.05
Al: 0.1693 0.3386 0.8577  6 O 1.87-2.01
Al: 0.1693 0.8307 0.8577  6 O 1.87-2.01
Al: 0.3333 0.6667 0.2538  6 O 1.89-1.95
Al: 0.3333 0.6667 0.7523  6 O 1.89-1.95
Al: 0.4976 0.5024 0.3592  6 O 1.87-2.01
Al: 0.4976 0.9952 0.3592  6 O 1.87-2.01
Al: 0.5021 0.0042 0.6446  4 O 1.84-1.90
Al: 0.5021 0.4979 0.6446  4 O 1.84-1.90
Al: 0.6614 0.8307 0.8577  6 O 1.87-2.01
Al: 0.6667 0.3333 0.0757  4 O 1.73-1.78
Al: 0.6667 0.3333 0.2299  4 O 1.82-1.83
Al: 0.6667 0.3333 0.9236  4 O 1.74-1.78
Al: 0.6700 0.8350 0.1461  6 O 1.84-2.05
Al: 0.9958 0.4979 0.6446  4 O 1.84-1.90
Cu: 0.0000 0.0000 0.2773  4 O 1.94-2.03
Cu: 0.6667 0.3333 0.7766  4 O 1.94-2.04
O: 0.0000 0.0000 0.1885  3 Al 1.89, 1 Cu 2.03
O: 0.0000 0.0000 0.4999  2 Al 1.71-1.72
O: 0.0000 0.0000 0.8085  4 Al 1.82-2.01
O: 0.0175 0.5088 0.2022  4 Al 1.83-2.05
O: 0.0376 0.5188 0.8056  3 Al 1.89-1.94, 1 Cu 1.94
O: 0.1750 0.3500 0.7010  2 Al 1.83-1.95
O: 0.1750 0.8250 0.7010  2 Al 1.83-1.95
O: 0.1851 0.3703 0.3068  3 Al 1.89-1.95, 1 Cu 1.94
O: 0.1851 0.8149 0.3068  3 Al 1.89-1.95, 1 Cu 1.94
O: 0.3219 0.1609 0.8994  3 Al 1.78-1.88
O: 0.3266 0.1633 0.1023  3 Al 1.78-1.90
O: 0.3333 0.6667 0.1106  3 Al 1.84
O: 0.3333 0.6667 0.4002  3 Al 1.87
O: 0.3333 0.6667 0.6099  3 Al 1.84
O: 0.3333 0.6667 0.8993  3 Al 1.87
O: 0.3430 0.1715 0.6001  3 Al 1.78-1.90
O: 0.3478 0.1739 0.4016  3 Al 1.79-1.88
O: 0.4812 0.5188 0.8056  3 Al 1.89-1.94, 1 Cu 1.94
O: 0.4812 0.9624 0.8056  3 Al 1.89-1.94, 1 Cu 1.94
O: 0.4912 0.5088 0.2022  4 Al 1.83-2.05
O: 0.4912 0.9825 0.2022  4 Al 1.83-2.05
O: 0.6297 0.8149 0.3068  3 Al 1.89-1.95, 1 Cu 1.94
O: 0.6500 0.8250 0.7010  2 Al 1.83-1.95
O: 0.6667 0.3333 0.9999  2 Al 1.73-1.74
O: 0.6667 0.3333 0.3096  4 Al 1.82-2.01
O: 0.6667 0.3333 0.6874  3 Al 1.89, 1 Cu 2.04
O: 0.8261 0.1739 0.4016  3 Al 1.79-1.88
O: 0.8261 0.6522 0.4016  3 Al 1.79-1.88
O: 0.8285 0.1715 0.6001  3 Al 1.78-1.90
O: 0.8285 0.6570 0.6001  3 Al 1.78-1.90
O: 0.8367 0.1633 0.1023  3 Al 1.78-1.90
O: 0.8367 0.6734 0.1023  3 Al 1.78-1.90
O: 0.8391 0.1609 0.8994  3 Al 1.78-1.88
O: 0.8391 0.6781 0.8994  3 Al 1.78-1.88

***

No. 2
DFT (PBE) results for crystalline Ni21Ge2B6 at its relaxed geometry.

Computed properties:
E_form (eV per atom): -0.282
Space group: Fm-3m (225)

Cell: 7.3974 7.3974 7.3974 Å, 60.00 60.00 60.00°
Closest atoms and distances in Å follow each position.
Positions (direct):
### The materials data stop here
Although the purpose of the Medical Device Act may be laudable, medical device manufacturers should be wary of the increased power and authority that would be granted to the FDA through its parent agency HHS, as such regulatory powers could have permanent, expensive side effects for the industry. For example, broad-based authority to impose reporting requirements on all essential medical device manufacturers would necessarily result in significant regulatory compliance burdens. The actual depth of these burdens would depend on the breadth of the information the FDA would seek, the detail requested, and the frequency of reporting requirements, but in any event would result in increased time and expense for all device manufacturers, to say nothing of the incidental scrutiny that the FDA would be allowed to apply.
Misplaced crystal structures
********
# 1
A relaxed structure of BaMnSnS4, computed with PBE.

Its volume is 1580 Å³ per cell. The value obtained for the energy of formation is -92 kJ/mol of atoms. As for the theoretical density: 3.69 g/cm3. For the total magnetic moment, the calculation gives 0.42 μB per formula unit.

a = 15.592 Å, b = 12.922 Å, c = 12.677 Å
α = 75.04°, β = 53.19°, γ = 51.77°
Atoms (fractional coordinates):
Mn (0.736, 0.516, 0.412)
S (0.294, 0.291, 0.453)
Sn (0.016, 0.235, 0.845)
S (0.958, 0.455, 0.793)
Ba (0.750, 0.250, 0.250)
S (0.294, 0.293, 0.953)
Ba (0.750, 0.254, 0.749)
Mn (0.734, 0.514, 0.913)
S (0.461, 0.953, 0.293)
Sn (0.904, 0.845, 0.235)
S (0.035, 0.215, 0.527)
S (0.035, 0.215, 0.028)
S (0.797, 0.289, 0.956)
S (0.566, 0.187, 0.030)
S (0.063, 0.684, 0.033)
S (0.714, 0.534, 0.233)
S (0.455, 0.458, 0.792)
Sn (0.511, 0.738, 0.264)
S (0.961, 0.453, 0.291)
S (0.457, 0.457, 0.292)
Mn (0.337, 0.412, 0.516)
Ba (0.498, 0.002, 0.002)
Ba (0.000, 0.500, 0.500)
Mn (0.265, 0.484, 0.011)
Ba (0.501, 0.003, 0.500)
S (0.222, 0.527, 0.215)
S (0.531, 0.721, 0.562)
Sn (0.487, 0.264, 0.738)
S (0.688, 0.064, 0.719)
S (0.458, 0.955, 0.795)
Mn (0.838, 0.913, 0.514)
Mn (0.239, 0.010, 0.985)
S (0.723, 0.028, 0.215)
Sn (0.405, 0.346, 0.234)
S (0.519, 0.233, 0.534)
Ba (0.247, 0.749, 0.254)
S (0.793, 0.793, 0.455)
S (0.716, 0.536, 0.731)
S (0.795, 0.292, 0.457)
S (0.217, 0.030, 0.187)
S (0.186, 0.562, 0.721)
S (0.957, 0.956, 0.789)
S (0.297, 0.789, 0.956)
Sn (0.986, 0.763, 0.739)
Mn (0.240, 0.011, 0.484)
Ba (0.248, 0.752, 0.752)
Ba (0.996, 0.500, 0.003)
Sn (0.512, 0.739, 0.763)
S (0.017, 0.731, 0.536)
S (0.295, 0.792, 0.458)
S (0.959, 0.956, 0.289)
S (0.529, 0.719, 0.064)
Mn (0.766, 0.985, 0.010)
S (0.792, 0.795, 0.955)
Sn (0.015, 0.234, 0.346)
S (0.220, 0.033, 0.684)

***

# 2
A relaxed structure of CdNCl3, computed with PBE.

Its volume is 626 Å³ per cell. The value obtained for the energy of formation is -13 kJ/mol of atoms. The energy above the lowest structure with this stoichiometry comes out at 172 meV per atom. As for the theoretical density: 2.47 g/cm3. For the total magnetic moment, the calculation gives 2.00 μB per formula unit.

a = 3.775 Å, b = 9.827 Å, c = 16.868 Å
α = 90.00°, β = 90.00°, γ = 90.00°
Atoms (fractional coordinates):
Cd (0.750, 0.162, 0.965)
Cl (0.750, 0.009, 0.094)
N (0.750, 0.783, 0.237)
Cl (0.250, 0.308, 0.238)
Cl (0.250, 0.991, 0.906)
Cl (0.250, 0.491, 0.594)
Cd (0.250, 0.338, 0.465)
N (0.250, 0.217, 0.763)
Cl (0.750, 0.192, 0.738)
Cl (0.750, 0.509, 0.406)
Cl (0.750, 0.692, 0.762)
Cl (0.250, 0.808, 0.262)
Cl (0.750, 0.170, 0.478)
Cl (0.250, 0.830, 0.522)
Cd (0.750, 0.662, 0.535)
N (0.250, 0.717, 0.737)
Cl (0.750, 0.670, 0.022)
N (0.750, 0.283, 0.263)
Cl (0.250, 0.330, 0.978)
Cd (0.250, 0.838, 0.035)

***

# 3
A relaxed structure of HgC4Br3N, computed with PBE.
********
Another negative effect would be the required assessment of the “essential device supply chain”—defined by the FDA as the critical infrastructure, manufacturing quality, and capacity of each manufacturer of essential medical devices—that would seemingly provide agency authority to interject regulatory objectives into every aspect of the manufacturing process. This is a result that no private entity desires.
Potential Response Opportunities
For these reasons, the medical device manufacturing industry would be well-advised to deter the FDA from achieving these goals, both by voluntarily cooperating in COVID-19 shortage reporting and by exercising its lobbying power against the Medical Device Act. As Dr. Hahn explained, the genesis of the FDA’s request for more regulatory authority arose out of its realization that the United States was facing multiple potential shortages of essential medical devices, and yet had no authority to compel medical device manufacturers to notify the government of any anticipated shortages. This, combined with the actual essential medical device shortages that did occur (most notably N95 masks and hospital ventilators, as regularly reported by news agencies) catalyzed the proposal of the Medical Device Act. However, as matters currently stand, the medical device industry possesses an opportunity to demonstrate to the FDA and Congress that additional regulations are unnecessary.
As detailed in the FDA’s March 28, 2020 update, the FDA has developed a voluntary device shortage reporting system that would allow manufacturers to update the FDA regarding any anticipated complications in their individual supply chains. While the FDA cannot enforce this reporting system (as yet), full and complete voluntary participation from all manufacturers would convincingly demonstrate the industry’s dedication to providing full assistance in emergency situations such as the COVID-19 pandemic.
Thus, both for equitable reasons such as contributing to the effectiveness of the United States’ COVID-19 response, as well as economical and business purposes in continuing to operate without potentially oppressive regulation, all medical device manufacturers should be encouraged to fully cooperate with the FDA’s COVID-19 information requests in whatever way possible.
The medical device manufacturing industry also should assess the potential for applying lobbying efforts against the Medical Device Act. During these troubling times, the COVID-19 crisis is increasingly being used as justification for almost any level of government oversight, such as the Medical Device Act. Although many members of Congress might have initial, understandable reactions to offer blanket support to any act that might potentially save lives, a reasoned, logical discussion of the actual necessity of the bill might help temper the appetite for its enactment. In particular, if the industry cooperates with the FDA as recommended above, manufacturing lobbyists would have compelling arguments that it is unnecessary to add additional, onerous regulations to an industry that is already highly regulated, and is already cooperating with all FDA requests for information.
The COVID-19 crisis has presented all aspects of society with unprecedented challenges, and the medical device industry has not been immune. In its ever-evolving response to the COVID-19 pandemic, the FDA has identified certain areas where it is concerned that medical device manufacturers are under-regulated. Certain members of Congress have become alarmed by these concerns and have responded by introducing a Senate bill with laudable goals that would nonetheless have potentially damaging side effects on all medical device manufacturers making products deemed “essential.” Industry members would be well-advised to assuage the FDA’s alarms by voluntarily cooperating with its reporting requests, and by employing lobbying efforts as appropriate to highlight the overreaching, unnecessary consequences of the Medical Device Act.
If you have any questions, please contact our COVID-19 Task Force.